Read Love Slave for Two Collection [Box Set 7] Page 12

  Ty looked at his credit card and realized he’d better nail down one final thing. “Can you hold just a moment?”

  “Yes, sir.”

=====
i.
18
Properties=species:S:1:pos:R:3 method="wB97M-V/def2-TZVPD" smiles="CNC(=O)[C@H](N)CS" charge=0 orbital_gap_ev=9.6972
N -0.69 1.93 -0.63
C -0.14 0.70 -0.13
C 1.25 0.45 -0.74
S 2.46 1.73 -0.36
C -1.02 -0.50 -0.46
N -1.02 -1.53 0.43
C -0.12 -1.81 1.52
O -1.70 -0.53 -1.47
H 1.85 2.77 -0.94
H -1.05 1.80 -1.57
H -1.42 2.29 -0.04
H -0.02 0.78 0.95
H 1.71 -0.47 -0.39
H 1.15 0.33 -1.82
H -1.65 -2.29 0.20
H 0.52 -0.96 1.75
H 0.56 -2.63 1.26
H -0.67 -2.06 2.43

ii.
18
Properties=species:S:1:pos:R:3 method="wB97M-V/def2-TZVPD" charge=0 orbital_gap_ev=6.9383
C 0.33 -0.27 1.38
N 1.24 0.36 0.54
C 0.91 1.29 -1.03
N 1.91 2.33 -0.88
O 0.89 0.65 -2.09
C -0.42 -1.54 0.98
C -1.04 -1.43 -0.41
S -2.39 -0.19 -0.43
H -0.03 0.77 0.96
H 0.67 -0.29 2.43
H -0.11 1.68 -0.75
H 1.56 3.26 -0.71
H 2.54 2.03 -0.15
H -1.19 -1.78 1.71
H 0.28 -2.37 0.97
H -1.43 -2.38 -0.79
H -0.32 -1.08 -1.16
H -3.42 -1.06 -0.57

iii.
18
Properties=species:S:1:pos:R:3 method="wB97M-V/def2-TZVPD" smiles="CNC(=O)[C@@H](N)CS" charge=0 orbital_gap_ev=9.6192
N 0.35 1.21 1.81
C -0.09 0.30 0.85
C -1.21 1.03 0.04
S -2.58 0.03 -0.48
C 1.18 0.11 -0.22
N 1.78 -1.11 -0.54
C 1.67 -2.51 -0.10
O 1.67 1.06 -0.83
H 0.74 0.89 2.69
H 1.06 1.98 1.32
H -0.35 -0.69 1.43
H -1.52 2.00 0.48
H -0.60 1.37 -0.94
H -2.86 0.87 -1.56
H 2.42 -1.00 -1.44
H 0.96 -3.07 -0.65
H 1.32 -2.49 0.97
H 2.58 -3.14 -0.40

It is ii that is the least stable of them.

i.
18
Properties=species:S:1:pos:R:3 method="wB97M-V/def2-TZVPD" smiles="CC(C)N(S)/C=N/O" charge=0 orbital_gap_ev=9.5216
C 1.43 -0.99 -1.00
C 1.04 0.31 -0.31
C 1.25 0.05 1.27
C -1.33 -0.07 -0.38
H 1.21 -0.92 -2.07
H 2.50 -1.20 -0.86
H 0.89 -1.90 -0.66
H 1.86 1.02 -0.56
H 2.29 -0.28 1.41
H 0.99 1.00 1.76
H 0.59 -0.80 1.65
H -0.79 2.39 0.95
H -1.16 -1.15 -0.47
H -4.17 -0.30 0.34
N -0.22 0.79 -0.61
N -2.47 0.35 -0.07
O -3.36 -0.73 -0.02
S -0.53 2.44 -0.37

ii.
18
Properties=species:S:1:pos:R:3 method="wB97M-V/def2-TZVPD" charge=0 orbital_gap_ev=10.2179
C -1.91 0.74 1.07
C -1.20 0.78 -0.29
C -0.53 2.15 -0.73
C 0.90 -0.34 0.83
H -1.31 1.41 1.77
H -1.90 -0.36 1.51
H -3.19 0.99 0.99
H -1.88 0.45 -1.02
H -0.08 2.53 0.23
H 0.33 2.26 -1.57
H -1.32 2.93 -1.06
H -1.26 -1.94 0.73
H 0.54 -0.69 1.74
H 1.78 0.45 -0.90
N -0.05 -0.29 -0.30
N 2.14 -0.08 0.88
O 2.52 0.53 -0.40
S -0.63 -1.86 -0.53

It is ii that is the least stable of them.
=====
The records of molecules stop here >

  Tyler set the house phone down and grabbed his cell. He hoped it wasn’t too early to call, but Tommy answered almost immediately.


  “Hi, Tommy. Listen, I’m sorry I’m in a rush, but you did mention you’re available tonight, right?”

  “Um, sure. What’s up?”

  Tyler look a deep, nervous breath. “Would you like to accompany me to a hockey game?”

  “Tonight? The Thrashers are in town. You’ve got tickets?”

  Tyler blushed. “Two have come into my possession. I thought I recalled you said you liked hockey.”

  “Sure! What time did you want to meet?”

  Tyler quickly cemented their plans, told him he’d pick him up, hung up, and then returned to the landline. “Yes, two of those tickets, please. You’re sure they’re very good seats?”

  “Yes, sir. Very good seats.”

**Here the article breaks off for quantum chemistry results**
'''
This record from OMol25 describes a structure of composition C11H9BaN3O4S. The level of theory is ωB97M-V with the def2-TZVPD basis set.

XYZ file:
```
29
Properties=species:S:1:pos:R:3:mulliken_charge:R:1
Ba 2.900 0.678 1.181 1.59
C 0.107 0.601 -4.406 -0.84
N -0.729 0.207 -3.296 0.10
C -2.052 -0.169 -3.389 -0.45
C -2.480 -0.454 -2.153 -0.31
N -1.413 -0.254 -1.274 0.27
C -0.314 0.158 -1.998 0.14
S 1.244 0.555 -1.550 -0.55
C -1.507 -0.455 0.129 0.96
C -2.714 -0.878 0.686 -0.60
C -2.778 -1.060 2.054 -0.64
C -1.655 -0.821 2.828 -0.67
C -0.507 -0.404 2.181 -0.17
N -0.430 -0.224 0.863 -0.10
H -0.484 0.547 -5.317 0.31
H 0.970 -0.058 -4.484 0.32
H 0.477 1.615 -4.263 0.32
H -2.576 -0.200 -4.327 0.44
H -3.452 -0.778 -1.839 0.32
H -3.590 -1.064 0.085 0.22
H -3.704 -1.388 2.506 0.41
H -1.671 -0.953 3.900 0.41
H 0.404 -0.201 2.735 0.17
O 4.951 2.460 3.656 -0.58
C 4.116 1.635 3.363 0.49
O 2.895 1.734 3.017 -0.75
C 4.603 0.037 3.141 0.50
O 5.774 -0.236 3.280 -0.58
O 3.614 -0.626 2.689 -0.75
```

- DFT total energy (eV) = -35742.8120
- total charge = 0
- energy relative to the best compared isomer or geometry (same formula, charge and spin) (kcal/mol) = 42.3

=====

This record from OMol25 describes the molecule C11H9Cl. The level of theory is ωB97M-V with the def2-TZVPD basis set.

XYZ file:
```
21
Properties=species:S:1:pos:R:3:mulliken_charge:R:1
C -2.692 -0.351 -0.120 -0.41
C -2.009 -1.059 -1.101 -0.74
C -2.112 0.369 0.902 -0.66
C -0.630 -1.154 -1.005 -0.15
C -0.746 0.357 0.961 0.14
C -0.116 -0.433 0.059 0.23
C 0.127 0.980 1.910 -0.82
C 1.360 0.571 1.737 -0.67
C 1.790 0.622 -1.911 -0.56
C 2.164 0.627 -0.610 -0.54
C 1.390 -0.278 0.414 1.26
Cl 2.316 -1.872 0.672 -0.23
H -3.737 -0.547 -0.042 0.36
H -2.618 -1.709 -1.645 0.35
H -2.795 0.795 1.623 0.41
H 0.043 -1.938 -1.584 0.37
H -0.230 1.719 2.639 0.41
H 2.270 0.869 2.280 0.42
H 2.335 1.178 -2.691 0.28
H 0.938 -0.008 -2.202 0.18
H 2.951 1.262 -0.284 0.38
```

- DFT total energy (eV) = -24073.4577
- total charge = 0
- energy relative to the best compared isomer or geometry (same formula, charge and spin) (kcal/mol) = 0.0

=====

This record from OMol25 describes a structure of composition C11H9Cl5N3PdSb. The level of theory is ωB97M-V with the def2-TZVPD basis set.

XYZ file:
```
30
Properties=species:S:1:pos:R:3:mulliken_charge:R:1
Pd -0.141 -0.110 0.439 -0.60
Cl 0.644 2.122 2.743 -0.18
C 1.432 2.314 1.193 1.05
C 1.099 1.414 0.159 -1.22
C 1.802 1.677 -1.029 1.17
Cl 1.513 0.637 -2.418 -0.21
C 2.730 2.697 -1.195 -0.47
Cl 3.547 2.956 -2.708 -0.23
C 3.017 3.544 -0.129 0.71
Cl 4.168 4.832 -0.306 -0.24
C 2.358 3.345 1.080 -0.51
Cl 2.720 4.397 2.415 -0.23
C 3.349 -3.208 2.440 -1.47
Sb 2.192 -1.603 1.372 0.60
C 1.265 -3.177 0.219 -1.26
C 0.864 -1.577 3.071 -1.26
H 2.666 -3.992 2.775 0.36
H 3.866 -2.790 3.307 0.36
H 4.094 -3.643 1.769 0.34
H 1.051 -4.019 0.880 0.32
H 1.974 -3.490 -0.551 0.37
H 0.348 -2.829 -0.250 0.37
H 0.520 -2.590 3.289 0.36
H 0.018 -0.929 2.849 0.33
H 1.416 -1.181 3.926 0.37
'''
**End of the quantum chemistry results**

  Tyler looked at his credit card again. It was only money. He handed over his number. The clerk gave him a confirmation number and information on how to claim the tickets at Will Call.

  “By the way, could you answer one more question for me?” Tyler inquired.

  “Yes, sir?”

  “What does one wear to a hockey game?”

  * * * *

  Tyler had two options. One, to spend the day researching hockey so he appeared marginally intelligent on the topic that night. Or two, risk pissing off his editor by not finishing the latest rounds of edits on his manuscript that were due back on Monday.

  He prayed Tommy was as kind a man as he appeared to be during their talk and opted to finish the edits.

  Tommy was ready when Tyler arrived at his apartment. He met Kenny, Tommy’s friend and roommate, and Kenny’s girlfriend, Shelly. Tyler enjoyed the easy way conversation seemed to flow between himself and Tommy as they drove downtown.

  Tommy was more familiar with downtown Tampa than Tyler, much to Ty’s relief. “I don’t mind walking if you want to save some money on parking. And I’ll pay for snacks and stuff.”

  Tyler couldn’t hold back his smile. “No, I insist. I asked you out. I’m paying. Next time, you can pay if you wish.”

  He blushed a little, but smiled. “Thanks, Tyler. I appreciate it.”

  Tommy guided him to a parking lot a couple of blocks from the Forum. They collected the tickets from Will Call and soon found their seats. Tyler was pleased to note that Tommy seemed very impressed with their seats.

  “How many games do you come to each season?” he asked Tyler.

  Tyler’s turn to blush. “Honestly?”


  Better now than later. “This is my very first game.”

  Tommy’s eyebrows arched skyward. “No kidding. Seriously?”

  Tyler nodded. “I know nothing about the game.” This would tell Tyler if his gamble had paid off.

  “Dude…wow. Really? Hold on, I’ll be right back.” Before Tyler could stop him, Tommy jumped from his seat and raced away.

  Fighting his nerves, Tyler sat and watched the Forum fill with spectators. He wasn’t sure what was going on, assumed a practice when the teams took the ice, because even though a clock on the center scoreboard started, no announcements were made.

  Tommy returned a few minutes later with a program. “Right here.” He flipped to a back page, where the basics of the game were laid out.

  Tyler swallowed the lump in his throat as Tommy started explaining things to him. After ten minutes, one thing was crystal clear: Tommy was thoroughly enjoying himself even though the game hadn’t started yet.

  By the time the puck dropped for the first period, Tyler had a very basic understanding of the game. Tyler found himself leaning close as Tommy draped an arm around his shoulders to point something out and explain.

  By the end of the first period, Tyler felt himself dangerously slipping into love despite his brain’s screaming warning to back off and hold on to his heart. He watched Tommy’s warm brown eyes as he stared at the ice and gave Tyler a running play-by-play of the action and what it meant. When he turned to Tyler, their eyes locked.

  Tyler smiled. “Are you enjoying yourself?”

  He grinned. “Yeah. You?”

  “Very much so.”

  When the game ended, Tyler knew a lot more about hockey, more than he ever thought he’d know. Tommy had taken great and obvious pleasure in explaining the game to him. Tyler wished he didn’t have to drive him home, wished he could bring him back to his place. They sat in the parking lot after leaving the Forum, discussing the game and a multitude of other topics for nearly an hour.

  Tommy reached across the seat and brushed the hair away from Tyler’s forehead. “Thank you. For tonight. This was fantastic.”

  “Thank you for saying yes.”

  Tyler wanted to lean across the seat and throw himself at the other man. Only memories of his past embarrassments kept him in place. Not too fast. No matter how much he liked this man.

  Tommy leaned in and kissed him, a light brush of his lips against Tyler’s. Tyler smiled and caught him before he could get away. He kissed him back.

  “May I make you dinner tomorrow night?” Tyler asked.

  Tommy grinned. “I’d really like that.”

  * * * *

  On the way back to Tommy’s house, Tyler sussed out some of his favorite foods and prayed he could pull it off. A gourmet French meal? Sure.

  Southern Georgia cooking?

  He had no clue.

  He spent half the night researching and was on the phone with Eddie first thing the next morning. Eddie helped him put together a nice menu he guaranteed Tyler would wow the socks off his Georgia boy. When Tommy arrived on time that night with a bottle of wine, he paused as he walked in the front door.

  “Dang, that smells fantastic, Ty!”

  Tyler smiled. “Thank you. I hope you like it.”

  He loved it, raved about it. Tyler sat there and smiled, gently directed the conversation back to Tommy, and listened to him talk about himself, his sisters, and his mom. Tyler enjoyed hearing him discuss architecture and engineering and design. The fire in Tommy’s eyes when he talked about projects he’d designed with his father, the melancholy as he recalled stories of his past when he worked with his dad.

  By midnight, both men were yawning, and Tyler had classes to teach the next morning. He’d also learned a lot more about Tommy. The most important fact was that the more time Tyler spent with him, the deeper in love he fell, whether he wanted to admit it or not.

  “I wish I could…” Tommy stopped, his face reddening.

  “What?” Tyler coaxed. “What were you about to say?”

  “I wish I could spend the night.”

  Tyler smiled and stepped in for a kiss. “Me too. However, let’s not jinx things by rushing them.”

  Tommy smiled and kissed him. “Agreed.”

  Tyler wouldn’t let him help with the dishes, and they agreed to get together the next night for dinner at Tommy’s place.

  Even if he could have wiped the broad smile from his face, Tyler wouldn’t. This was the best he’d felt in…ever.

  He had hope.

  He had faith.

  Most importantly, he thought maybe he just might have love.

  Chapter Twelve

  Friday, Tyler prepared. Tomorrow would mark two weeks since he’d first met Tommy, and he was going to take the plunge, regardless of where things later led. He invited Tommy over for dinner and a movie and hinted it would be nice if he could spend the whole night.

  Tommy didn’t say no.

  Tyler also made sure to stock up on lube and condoms and breakfast fixings so they wouldn’t have to leave.

  His mind chanted reminders to him about not falling in love, keeping it casual, just sex.

  Tyler ignored it. He wanted to take the chance. At least, for now he did.
  Tommy brought the wine and the movie. After dinner, they sat together on the couch, talking more than watching the movie. Tyler didn’t miss the way the other man kept edging closer across the couch.

  At one lull in the conversation, their eyes met. Tyler gave up trying to wait. Why? It didn’t matter anymore. He wanted this man. Badly.

  Tommy leaned in and kissed him, long and deeply, the sweet wine on his lips adding to the heat of their embrace. When he lifted his head from Tyler’s, he gasped, “Do you have any rubbers?” He winced. “Dammit, sorry, that sounded bad—”

  Tyler shushed him with another kiss. “Yes, I do.”

  He grinned and lowered his mouth to Tyler’s again, tasting and teasing and letting himself go. They ended up stretched out on the couch, Tyler beneath him. Tommy skimmed Tyler’s shirt up and off his body.

  He kissed his way down Tyler’s chest. “Want a back rub, sugar? I give great back rubs.”

  “I bet you give great front rubs, too, love.”

Records of molecules that have nothing to do with the text.
ORCA calculation (ωB97M-V/def2-TZVPD) on a 2-piece molecular cluster, C6H9N overall.

Calculated values
frontier orbital gap	8.0	eV
calculated total energy	-288.53288	Eh
largest force on an atom	0.6	eV/A
net charge	0
E_LUMO	0.021	Eh
energy above the lowest of the compared OMol25 structures with the same formula, charge and spin	156.4	kcal per mole

Each line ends with the natural charge from an NBO analysis.
CARTESIAN COORDINATES (ANGSTROEM)
C  1.84403  0.82338  -0.09706  -0.0189
N  0.69071  0.30523  -0.06789  -0.2181
C  0.03166  -0.48895  1.00617  -0.2136
C  -1.42076  -0.01820  0.81453  -0.2694
C  -1.48393  1.02073  -0.29642  -0.3793
C  -0.42376  0.15683  -1.00280  -0.0652
C  -0.88078  -1.03541  -0.12314  -0.2898
H  2.27199  1.21669  -1.01021  0.1943
H  2.37499  -2.05919  0.66435  -0.0712
H  2.36107  0.87844  0.85649  0.2165
H  1.72459  -1.84720  0.98409  0.0385
H  -2.13054  -0.16853  1.61903  0.2288
H  -1.19306  2.05558  -0.08782  0.1893
H  -2.43156  0.97878  -0.83225  0.2129
H  -0.20471  0.23827  -2.06720  0.2121
H  -1.12995  -2.05645  -0.35985  0.2331

***

ORCA calculation (ωB97M-V/def2-TZVPD) on C6H9N in the gas phase.

Calculated values
frontier orbital gap	8.9	eV
calculated total energy	-288.58686	Eh
largest force on an atom	3.9	eV/A
net charge	0
E_LUMO	0.026	Eh
SMILES	CC[C@H]1C2=N[C@@]21C
energy above the lowest of the compared OMol25 structures with the same formula, charge and spin	122.5	kcal per mole

Each line ends with the natural charge from an NBO analysis.
CARTESIAN COORDINATES (ANGSTROEM)
C  -0.25748  1.91626  0.50642  -0.6254
C  0.90455  1.28831  -0.36620  -0.3873
C  0.15315  -0.12413  -1.18538  -0.3191
C  1.03923  -1.39356  -1.72170  0.1588
N  0.21960  -2.30678  -1.30644  -0.4566
C  -0.19626  -1.31498  -0.38256  0.2509
C  -0.54135  -1.64087  0.99490  -0.6816
H  0.12051  2.46191  1.40935  0.2140
H  -0.71726  1.00493  0.94877  0.1957
H  -1.06039  2.47913  0.00995  0.2181
H  1.61102  0.82839  0.35955  0.2130
H  1.30440  1.87618  -1.24491  0.2294
H  -0.51383  0.01672  -2.03915  0.2487
H  -0.28983  -2.69934  1.30152  0.2549
H  -1.60593  -1.47269  0.96932  0.2546
H  -0.17012  -0.91948  1.74657  0.2318

***

ORCA calculation (ωB97M-V/def2-TZVPD) on C6H9N in the gas phase.

Calculated values
frontier orbital gap	8.6	eV
calculated total energy	-288.73843	Eh
largest force on an atom	1.5	eV/A
net charge	0
E_LUMO	0.036	Eh
SMILES	C=C1C=C(C)CN1
energy above the lowest of the compared OMol25 structures with the same formula, charge and spin	27.4	kcal per mole

Each line ends with the natural charge from an NBO analysis.
CARTESIAN COORDINATES (ANGSTROEM)
C  2.56005  -0.63272  0.08661  -0.5257
C  1.32131  -0.27163  0.37205  0.1604
C  0.10886  -1.01037  0.03620  -0.2438
C  -0.89699  -0.14615  -0.05410  0.0401
C  -2.31257  -0.39100  -0.43812  -0.6392
C  -0.35371  1.21805  0.23756  -0.2477
N  0.95557  0.99825  0.78736  -0.5931
H  3.38452  0.02396  0.30877  0.1958
H  2.70978  -1.62556  -0.28671  0.2016
H  0.08055  -2.07004  -0.18710  0.2213
So much for the records of molecules.

  Tommy laughed. “Wanna find out?”

  “I most certainly do.” He rolled over. Tommy sat up and started rubbing Tyler’s back.

  For a moment, Tyler almost forgot he was just a few kisses from getting laid. “Jesus, that’s bloody fantastic!”

  Tommy flushed with pride, or was it a little too much wine? “You can have a back rub whenever you want one.”

  Tyler finally reached back and patted Tommy on the thigh, prompting him to move. He was afraid if he lay there too much longer that Tommy would put him totally to sleep from the fantastic sensation.

  Tyler rolled over and looked up at Tommy. His cock stiffened in his shorts. “Let’s go someplace more comfortable.”

  Tommy grinned. “I’ll follow you.”

  Tyler stood. He turned off the movie and turned on the radio. Then he caught Tommy’s hand and led him to his bedroom. Tommy stripped his T-shirt off and pulled Tyler to him, held him tightly, skin to skin.

  His hands slid down Tyler’s back, to his hips. “You feel so good, sugar.”

  Tyler draped his arms around the other man’s neck. At six feet, Tommy stood five perfect inches taller than him. “So do you.” He felt Tommy’s stiff erection through his shorts and wickedly rubbed his own against him, making him moan. “You feel very good, love.”

  Tom shucked his shorts and fumbled with Tyler’s. He fell backward onto the bed, pulling Tyler with him. “I’ve never…I mean…Shit.” He nervously licked his lips, making Tyler’s cock throb. “I’m not a virgin with girls, but I’ve only fooled around a little with guys.”

  Tyler’s heart skipped a beat. “A sweet virgin arse?”

  Tommy’s cockeyed grin wrapped Tyler’s heart around him. “Yeah, I guess you could say that. Both ways. Never, you know, fucked a guy either.”

  Tyler kissed him. “What would you like to do tonight, love?” He licked his right nipple, sucking on it, making him moan. “What are you comfortable doing?”

  When Tyler lifted his head, Tommy’s eyes were focused on his. “Anything you want. I trust you.”

  “Are you sure that’s wise?” Tyler wondered if he was asking Tommy or himself that question.

  “Yeah. I’ve never been more sure about anything in my life.”

  Tyler leaned in and kissed him. Then he trailed his hand down Tommy’s body to his hard, rigid cock. Every vein stood out, the head swollen and proud, practically begging Tyler to suck it.

  “How about I start with a taste of this sweet dessert right here?” Tyler’s fingers closed around Tommy’s shaft, making him moan.


  Tyler ignored the ghost of a voice in his head.

  “You don’t attack a cock like a starving man, even if you are one.”

  He licked at the slit, where a drop of salty pre-come had gathered. His hips bucked beneath him. Tyler slowly traced the ridge around the head, flicking it with his tongue, using his spare hand to play with Tommy’s sac.

  He moaned.

  With his tongue, Tyler drew long, deep moans out of Tommy as he swirled it around the stiff cock.

  “Oh…Jesus! That’s great!” he gasped as Tyler went deeper.

  It didn’t take long. When Tyler tasted hot seed in his mouth, he went deep and fast, swallowing, engulfing him, drawing another set of happy moans from the man. When Tyler sensed he’d finished, he sat up after placing a kiss on his cock.

  Tommy stared at him, mouth gaping.

  Tyler smiled. “Good?”

  He nodded and crooked his finger at Tyler. Tyler bent in for a long, slow, deep kiss. “Sugar, that was the best blow job I’ve ever had. Ever.”

  He arched an eyebrow. “Ever?”

  “Yeah. Ever. Seriously.”

  Tyler felt his heart warming. “Well, that’s just the first course.” He propped himself on his elbow next to Tommy and let his fingers stroke the other man’s cock and balls. It didn’t take long to get him hard again. “There’s plenty more we can do.”

  “I want to do it all with you.”

  “Then why don’t we do something else?” He reached over to the bedside table and retrieved a condom and bottle of lube. “You’ve never fucked a man before?”

  He shook his head. “No. I mean, right. I mean—”

  Tyler silenced him with a kiss. “I know what you meant, love.” He nibbled on his neck, under his ear. “Take your time. Use plenty of lube. Go slow. Savor it. Enjoy it.” He opened the condom and rolled it onto his lover’s now-stiff shaft.

  “I don’t want to hurt you.”

  Tyler blinked back his unexpected tears. “If you take your time and go slow, be gentle, you will never hurt me, love.” This felt so different than anything he’d experienced before. The pure trust, the open emotions in the other man’s face. He knew he could never admit certain truths to him.

  Never confess things he’d done.

  Never confess his deepest, darkest desires.

  Turning around, on his knees, he playfully wiggled his hips at Tommy. “You know you want to.”

  Tommy froze, then laughed. “Fuck yeah, I want to!” He grabbed the bottle of lube and squeezed some onto his hand. “Do I put it on me too? On the condom?”

  Tyler stifled his amused laugh and glanced over his shoulder. “Yes, and on me as well.”

  Tommy hesitantly brushed some down the seam of Tyler’s ass. Tyler reached around and gently grabbed his wrist. “It’s okay. Use your finger.”

  He felt a tentative digit breach his rim. Tyler gasped. “Yes, like that.”

  “Was that okay? I didn’t hurt you?”

  “You didn’t hurt me, love, trust me.”

  It took a minute to coach him through the process. Then Tyler reached between his legs and grabbed Tommy’s cock. “Hurry up and get that sweet cock inside my arse and quit teasing me!”

  Firm, solid thighs pressed against Tyler’s, hot and ready, muscles flexing. He pressed the head against Tyler’s rim. “Okay?”

  Tyler flexed his hips backward, impaling himself on Tommy’s shaft. Both men moaned. “Just take your time at first. Get used to it. I’ll tell you to stop if it doesn’t feel good,” Tyler gasped.

  Almost torturously slow, Tommy started thrusting, moaning at the feeling. “Jesus, you’re so fucking tight! Is that normal?”

  Tyler ground his hips against him, wanting more, wanting it faster. “Oh, yes, love.”

  “Holy crap…fantastic!”

  When Tyler felt Tommy’s thighs pressed tight against his backside, he sighed, content, filled.

  “Now what?” Tommy gasped.

  Tyler didn’t hold back his laugh. “Fuck me, love. Just fuck me.”

  Tommy’s hands settled on Tyler’s waist. “Oh…my…God, this is great!” He took a slow stroke.

  “You can go faster than that,” Tyler playfully teased.

  “No, I can’t. I’ll fucking come if I do, and this feels great!”

  Tommy could barely think and hoped that the words he said came out in comprehensible
English. Feeling his cock tightly fisted inside Tyler’s ass…nothing had ever felt that good.

  Well, except for the blow job. He wasn’t exaggerating when he said it was the best ever.

  He slowly stroked, not wanting to hurt Tyler, fighting the urge to fuck him hard and fast and pound his cock inside him until he exploded. He would never do anything to hurt his guy, didn’t want to be like some of the guys he’d heard about.

  He wanted to do things right.

  “Oh…Jesus. I can’t hold back.”

  “Then don’t,” Tyler assured him. “I want you to come for me.”

  He needed no further encouragement. Despite his first climax his second was nearly as powerful, ripping through him and tearing a cry from his lips as he leaned on Tyler for support.

  Then he remembered the condom. “Dammit.” He pulled out. “I’ll be right back.” He cleaned up and quickly returned, pulling Tyler into his arms and kissing him. “That was fantastic!”

  Tyler looked pleased. “Did you enjoy yourself?”

  He nodded and reached down, found Tyler’s stiff shaft. “What about you, sugar?”

  “What about me?”

  “I want to take care of you.” He kissed Tyler again and softly said, “Do you wanna fuck me?”

  “It’s okay if you don’t want me to—”

  He cut Tyler off with another deep kiss. “I want you to. I want you to be the first.” Hell, he wanted Tyler to be his last and only, too, but felt like a moron admitting that this soon. He didn’t want to scare the guy off by acting like a clingy girl.

  Tyler’s blue eyes smoldered in his sweet face. “Roll over, love,” he hoarsely said.

  Tommy did, closing his eyes.

  He felt Tyler’s hands, gentle, tender, slowly massaging his ass, relaxing him. “Don’t hesitate to tell me to stop if you don’t like something, right?”

  “Okay,” Tommy mumbled, already feeling his cock starting to stiffen again. His hips, with a mind of their own, rubbed his cock against the mattress and created more pleasurable friction.

  Tyler took his time, eventually working his way to Tommy’s virgin rim. Then he applied lube to his finger and, without penetrating, started massaging the tight ring of muscle.